Text classification

Tunable text classification


Tunable estimators allow to fine-tune the underlying LLM for a classification task. Usually, tuning is performed directly in the cloud (e.g. OpenAI, Vertex), therefore it is not required to have a GPU on your local machine. However, be aware that tuning can be costly and time-consuming. We recommend to first try the in-context learning estimators, and only if they do not provide satisfactory results, to try the tunable estimators.

Example using GPT-3.5-Turbo-0613:

from skllm.models.gpt.classification.tunable import GPTClassifier

X, y = get_classification_dataset()
clf = GPTClassifier(n_epochs=1)

API Reference

The following API reference only lists the parameters needed for the initialization of the estimator. The remaining methods follow the syntax of a scikit-learn classifier.

# 1
# Cs2BaNiI6

A relaxed Cs2BaNiI6 crystal (PBE, Alexandria via LeMat-Bulk).

Cell lengths 8.7010, 8.7010, 8.7044 Å; angles 60.01, 60.01, 90.00 degrees
Fractional positions:
Cs (0.7500, 0.2500, 0.5000)
I (0.2745, 0.7255, 0.0000)
I (0.2744, 0.2744, 0.4512)
I (0.2745, 0.2745, 0.0000)
Ba (0.0000, 0.0000, 0.0000)
I (0.7255, 0.2745, 0.0000)
Cs (0.2500, 0.7500, 0.5000)
Ni (0.5000, 0.5000, 0.0000)
I (0.7255, 0.7255, 0.0000)
I (0.7256, 0.7256, 0.5488)

Properties
Space-group type: Fm-3m, No. 225
Volume (Å³/cell): 466.16
Final energy (eV/atom): -2.975

=====

# 2
# CsBa2NpI8

A relaxed CsBa2NpI8 crystal (PBE, Alexandria via LeMat-Bulk).

Cell lengths 7.9625, 7.8394, 10.6778 Å; angles 89.94, 89.98, 90.06 degrees
Fractional positions:
Ba (0.5000, 0.4998, 0.7523)
Cs (0.0000, 0.0000, 0.5000)
I (0.3926, 0.2564, 0.5002)
I (0.6074, 0.7436, 0.4998)
I (0.8517, 0.2390, 0.7957)
I (0.3224, 0.2430, 0.0003)
I (0.1483, 0.7610, 0.2043)
I (0.6776, 0.7570, 0.9997)
Ba (0.5000, 0.5002, 0.2477)
I (0.1491, 0.7617, 0.7960)
Np (0.0000, 0.0000, 0.0000)
I (0.8509, 0.2383, 0.2040)

Properties
Space-group type: P-1, No. 2
Volume (Å³/cell): 666.51
Final energy (eV/atom): -3.904

=====

# 3
# CsBaI2O

A relaxed CsBaI2O crystal (PBE, Alexandria via LeMat-Bulk).

Cell lengths 7.0545, 7.0545, 4.6105 Å; angles 90.00, 90.00, 90.00 degrees
Fractional positions:
O (0.0000, 0.0000, 0.5000)
Ba (0.0000, 0.0000, 0.0000)
Cs (0.5000, 0.5000, 0.5000)
I (0.0000, 0.5000, 0.0000)
I (0.5000, 0.0000, 0.0000)

Properties
E above lowest polymorph (eV/atom): 0.000
Space-group type: P4/mmm, No. 123
Volume (Å³/cell): 229.45

=====

# 4
# Cs2BaI6O

A relaxed Cs2BaI6O crystal (PBE, Alexandria via LeMat-Bulk).

Cell lengths 8.2218, 8.2218, 9.3480 Å; angles 63.91, 63.91, 90.00 degrees
Fractional positions:
I (0.7089, 0.7089, 0.0000)
Cs (0.7500, 0.2500, 0.5000)
I (0.7696, 0.7696, 0.4608)
I (0.2911, 0.2911, 0.0000)
Ba (0.0000, 0.0000, 0.0000)
I (0.2911, 0.7089, 0.0000)
I (0.2304, 0.2304, 0.5392)
I (0.7089, 0.2911, 0.0000)
O (0.5000, 0.5000, 0.0000)
Cs (0.2500, 0.7500, 0.5000)

Properties
Space-group type: I4/mmm, No. 139
Volume (Å³/cell): 494.83
Final energy (eV/atom): -2.663

=====

# 5
# CsBaIO6

A relaxed CsBaIO6 crystal (PBE, Alexandria via LeMat-Bulk).

Cell lengths 6.4048, 6.2547, 5.0208 Å; angles 97.49, 95.01, 55.63 degrees
Fractional positions:
I (0.3337, 0.3494, 0.4445)
O (0.6099, 0.2060, 0.6950)
O (0.5738, 0.0067, 0.2811)
O (0.4545, 0.4865, 0.2402)
O (0.1649, 0.2135, 0.5836)
Cs (0.6486, 0.6859, 0.7545)
O (0.1397, 0.6726, 0.6433)
O (0.0790, 0.3979, 0.1840)
Ba (0.9957, 0.9816, 0.1736)

Properties
Space-group type: P1, No. 1
Volume (Å³/cell): 164.58
Final energy (eV/atom): -4.781

=====

# 6
# CsBaI2O

A relaxed CsBaI2O crystal (PBE, Alexandria via LeMat-Bulk).

Cell lengths 6.8277, 6.8277, 4.6196 Å; angles 90.00, 90.00, 90.00 degrees
Fractional positions:
I (0.0000, 0.5000, 0.0000)
Ba (0.5000, 0.5000, 0.5000)
O (0.0000, 0.0000, 0.5000)
Cs (0.0000, 0.0000, 0.0000)
I (0.5000, 0.0000, 0.0000)

Properties


from skllm.models.gpt.classification.tunable import GPTClassifier
base_modelstrBase model to use, by default "gpt-3.5-turbo-0613".
default_labelstrDefault label for failed prediction; if "Random" -> selects randomly based on class frequencies, by default "Random".
keyOptional[str]Estimator-specific API key; if None, retrieved from the global config, by default None.
orgOptional[str]Estimator-specific ORG key; if None, retrieved from the global config, by default None.
n_epochsOptional[int]Number of epochs; if None, determined automatically; by default None.
custom_suffixOptional[str]Custom suffix of the tuned model, used for naming purposes only, by default "skllm".
prompt_templateOptional[str]Custom prompt template to use, by default None.


from skllm.models.gpt.classification.tunable import MultiLabelGPTClassifier
base_modelstrBase model to use, by default "gpt-3.5-turbo-0613".
default_labelstrDefault label for failed prediction; if "Random" -> selects randomly based on class frequencies, by default "Random".
keyOptional[str]Estimator-specific API key; if None, retrieved from the global config, by default None.
orgOptional[str]Estimator-specific ORG key; if None, retrieved from the global config, by default None.
n_epochsOptional[int]Number of epochs; if None, determined automatically; by default None.
custom_suffixOptional[str]Custom suffix of the tuned model, used for naming purposes only, by default "skllm".
prompt_templateOptional[str]Custom prompt template to use, by default None.
max_labelsOptional[int]Maximum labels per sample, by default 5.


from skllm.models.vertex.classification.tunable import VertexClassifier
base_modelstrBase model to use, by default "text-bison@002".
n_update_stepsintNumber of epochs, by default 1.
default_labelstrDefault label for failed prediction; if "Random" -> selects randomly based on class frequencies, by default "Random".
Chain-of-thought text classification